Democrats push to get black voters to the polls. Dukakis has support of traditionally Democratic black voters, but the question remains whether or not Democrats can get these voters to the polls to help win key states.
(Someone pasted materials data at this point)
=====
[1]
DFT (PBE-GGA) results for Dy4AsPtS2 after structural relaxation.

Cell lengths 6.9444, 3.9776, 7.0527 Å; angles 90.00, 109.00, 90.00 degrees
With the nearest neighbours (Å) after each atom.
Element x y z (fractional)
Dy  0.2452  0.0000  0.2497  3 S 2.82-2.86, 2 Pt 2.83, 1 As 2.87
Dy  0.2474  0.5000  0.7460  3 S 2.82-2.84, 1 Pt 2.86, 2 As 2.86
Dy  0.7526  0.5000  0.2540  3 S 2.82-2.84, 1 Pt 2.86, 2 As 2.86
Dy  0.7548  0.0000  0.7503  3 S 2.82-2.86, 2 Pt 2.83, 1 As 2.87
As  0.5000  0.0000  0.0000  6 Dy 2.86-2.87
Pt  0.0000  0.5000  0.0000  6 Dy 2.83-2.86
S  0.0000  0.0000  0.5000  6 Dy 2.82
S  0.5000  0.5000  0.5000  6 Dy 2.84-2.86

Output
Calculated volume   184.2 Å³/f.u.
Formation energy from raw total energies   -1.64 eV per atom
Mass density   8.9 g/cm3

[2]
DFT (PBE-GGA) results for LaP3Ru3 after structural relaxation.

Cell lengths 7.9809, 7.9809, 7.9809 Å; angles 49.72, 49.72, 49.72 degrees
With the nearest neighbours (Å) after each atom.
Element x y z (fractional)
La  0.1669  0.1669  0.1669  6 P 3.05-3.06, 6 Ru 3.38-3.41
La  0.8331  0.8331  0.8331  6 P 3.05-3.06, 6 Ru 3.38-3.41
P  0.0862  0.7231  0.4002  4 Ru 2.29-2.37
P  0.2769  0.5998  0.9138  4 Ru 2.29-2.37
P  0.4002  0.0862  0.7231  4 Ru 2.29-2.37
P  0.5998  0.9138  0.2769  4 Ru 2.29-2.37
P  0.7231  0.4002  0.0862  4 Ru 2.29-2.37
P  0.9138  0.2769  0.5998  4 Ru 2.29-2.37
Ru  0.0319  0.3799  0.7179  4 P 2.29-2.37
Ru  0.2821  0.9681  0.6201  4 P 2.29-2.37
Ru  0.3799  0.7179  0.0319  4 P 2.29-2.37
Ru  0.6201  0.2821  0.9681  4 P 2.29-2.37
Ru  0.7179  0.0319  0.3799  4 P 2.29-2.37
Ru  0.9681  0.6201  0.2821  4 P 2.29-2.37

Output
Calculated volume   136.1 Å³/f.u.
Formation enthalpy at 0 K   -0.722 eV per atom
Mass density   6.5 g/cm3

[3]
DFT (PBE-GGA) results for CuGeTe2 after structural relaxation.

Cell lengths 7.3928, 7.3928, 7.3928 Å; angles 31.02, 31.02, 31.02 degrees
With the nearest neighbours (Å) after each atom.
Element x y z (fractional)
Cu  0.0000  0.0000  0.0000  6 Te 2.71-2.81
Ge  0.8337  0.8337  0.8337  6 Te 2.95-3.08
Te  0.4024  0.4024  0.4024  3 Cu 2.71
Te  0.5892  0.5892  0.5892  3 Cu 2.81, 3 Ge 2.95

Output
Calculated volume   95.2 Å³/f.u.
Formation energy from raw total energies   0.05 eV per atom
Mass density   6.8 g/cm3

[4]
DFT (PBE-GGA) results for Sr2BTe after structural relaxation.

Cell lengths 5.5010, 5.5010, 5.5010 Å; angles 60.00, 60.00, 60.00 degrees
With the nearest neighbours (Å) after each atom.
Element x y z (fractional)
Sr  0.2500  0.2500  0.2500  4 Te 3.37, 4 B 3.37
Sr  0.7500  0.7500  0.7500  4 Te 3.37, 4 B 3.37
B  0.0000  0.0000  0.0000  8 Sr 3.37
Te  0.5000  0.5000  0.5000  8 Sr 3.37

Output
Excess energy over the best structure of this formula in the dataset   40.0 meV per atom
Calculated volume   117.7 Å³/f.u.
Formation energy from raw total energies   0.01 eV per atom
Mass density   4.4 g/cm3

[5]
DFT (PBE-GGA) results for Cs2CoOs2 after structural relaxation.

Cell lengths 10.6759, 10.6759, 3.0052 Å; angles 90.00, 90.00, 90.00 degrees
=====
(Here the page continues)
| Chicago
On Chicago's South Side in a restored movie palace, a mostly black crowd applauded Michael Dukakis. It applauded when he spoke about South Africa.
It applauded when he laid out his presidential agenda.
But it is not at all clear that blacks will follow the Democrats' script on election day.
Among black voters, who usually vote overwhelmingly Democratic, some seem unenthusiastic about the Massachussetts governor and may not vote at all. While last- minute voter campaigns could change the picture, low black turnout in major cities would lessen Mr. Dukakis's chance to win key swing states.
So far, the signs are not encouraging for the Democrats.
A new poll conducted for the Joint Center for Political Studies indicates that black turnout could fall this year in relation to white turnout, reversing previous trends.
And lack of enthusiasm for the presidential race seems widespread among blacks:
In Cleveland: ``We don't think he's making the effort,'' says a frustrated Ike Thompson, a Dukakis campaign coordinator for Cleveland-area blacks. ``I feel like telling him to go south.''
In New York City: ``I certainly don't intend to vote for Bush. But I'm not sure I'm going to vote for Dukakis,'' says Beatrice Marriot. ``Neither one of them says anything about the black people and their problems.''
In Atlanta: ``On a scale of 1to 10, enthusiasm is about a 6,'' says Angelo Fuster, a former city official who works frequently on local Democratic campaigns. Even those working to register black voters are not sure people will vote, he says.
The Dukakis appearance in Chicago early last week was designed to shore up his black support. It drew mixed reviews.
``People were going through the motions before,'' says Charles Watson Jr., an Operation PUSH staff member and Dukakis convert. Now, he says, blacks are more willing to work or vote for Dukakis. ``You look at the alternative, and you have to do something, you have to be true to your party,'' he says.
Cheryl Lavender isn't so sure. ``Dukakis has some serious problems,'' she says. ``He don't know me - and I don't know him.''
The black vote is important in places like Chicago and Cleveland because a Democrat must run up huge majorities in such metropolitan areas to offset GOP strength elsewhere in their states. For the first time ever, in two separate elections this year, turnout in Cleveland's black wards exceeded that of the white wards by a sizable margin.
Apathy among black voters is due to several factors, say political analysts and black activists. Among them:
General lack of interest - black and white - in the presidential election. For example, if black voters turn out in large numbers in Mississippi, Dukakis can thank state candidates - namely Rep. Mike Espy and his extensive get-out-the-vote efforts. Elsewhere, only a handful of local races are creating much enthusiasm among blacks.
Disillusionment with Dukakis's handling of Jesse Jackson - especially his failure to notify the Rev. Mr. Jackson of his vice-presidential pick. ``I think that was more or less unpardonable,'' says Peter Lawson Jones, who still backs Dukakis and heads a Cleveland-area support group for him.
**Materials data, as found in the file:**
........
No. 1
First-principles (GGA-PBE) data for a relaxed structure of PrY2Sc3, as listed in Alexandria.

```
PrY2Sc3
1.0
6.004 0.000 0.000
0.000 3.476 0.000
-1.993 0.000 16.625
Pr Y Sc
2 4 6
direct
0.027 0.250 0.332 Pr
0.973 0.750 0.668 Pr
0.250 0.250 0.000 Y
0.473 0.250 0.667 Y
0.527 0.750 0.333 Y
0.750 0.750 0.000 Y
0.139 0.750 0.165 Sc
0.252 0.750 0.501 Sc
0.362 0.750 0.835 Sc
0.638 0.250 0.165 Sc
0.748 0.250 0.499 Sc
0.861 0.250 0.835 Sc
```

Calculated values
SG: P2_1/m
Calculated volume in Å³ per cell: 346.9
DFT total energy in eV per atom: -6.0318
Calculated formation energy in meV per atom: 85

No. 2
First-principles (GGA-PBE) data for a relaxed structure of Rb3AgAu2Cl6, as listed in Alexandria.

```
Rb3AgAu2Cl6
1.0
7.879 0.000 0.000
-3.939 6.823 0.000
0.000 0.000 8.555
Rb Ag Au Cl
3 1 2 6
direct
0.000 0.000 0.000 Rb
0.333 0.667 0.674 Rb
0.667 0.333 0.326 Rb
0.000 0.000 0.500 Ag
0.333 0.667 0.275 Au
0.667 0.333 0.725 Au
0.154 0.308 0.289 Cl
0.154 0.846 0.289 Cl
0.308 0.154 0.711 Cl
0.692 0.846 0.289 Cl
0.846 0.154 0.711 Cl
0.846 0.692 0.711 Cl
```

Calculated values
SG: P-3m1
Calculated volume in Å³ per cell: 459.9
DFT total energy in eV per atom: -2.9231
Uncorrected formation energy in eV/atom: -0.974

No. 3
First-principles (GGA-PBE) data for a relaxed structure of ErZnCuPd, as listed in Alexandria.

```
ErZnCuPd
1.0
6.528 0.000 0.000
0.000 6.528 0.000
0.000 0.000 6.528
Er Zn Cu Pd
4 4 4 4
direct
0.000 0.000 0.000 Er
0.000 0.500 0.500 Er
0.500 0.000 0.500 Er
0.500 0.500 0.000 Er
0.000 0.000 0.500 Zn
0.000 0.500 0.000 Zn
0.500 0.000 0.000 Zn
0.500 0.500 0.500 Zn
0.250 0.250 0.750 Cu
0.250 0.750 0.250 Cu
0.750 0.250 0.250 Cu
0.750 0.750 0.750 Cu
0.250 0.250 0.250 Pd
0.250 0.750 0.750 Pd
0.750 0.250 0.750 Pd
0.750 0.750 0.250 Pd
```

Calculated values
SG: F-43m
Calculated volume in Å³ per cell: 278.2
DFT total energy in eV per atom: -4.2458
Calculated formation energy in meV per atom: -464

No. 4
First-principles (GGA-PBE) data for a relaxed structure of Sr2Al2Sn, as listed in Alexandria.

```
Sr2Al2Sn
1.0
7.591 0.000 0.000
0.000 7.591 0.000
0.000 0.000 5.102
Sr Al Sn
4 4 2
direct
0.178 0.322 0.000 Sr
0.322 0.822 0.000 Sr
0.678 0.178 0.000 Sr
0.822 0.678 0.000 Sr
0.123 0.623 0.500 Al
0.377 0.123 0.500 Al
0.623 0.877 0.500 Al
0.877 0.377 0.500 Al
0.000 0.000 0.500 Sn
0.500 0.500 0.500 Sn
```

Calculated values
SG: P4/mbm
Calculated volume in Å³ per cell: 294.0
DFT total energy in eV per atom: -3.2486
Calculated formation energy in meV per atom: -278

No. 5
First-principles (GGA-PBE) data for a relaxed structure of Co2BBr, as listed in Alexandria.

```
Co2BBr
1.0
4.738 0.000 0.000
0.000 4.738 0.000
0.000 0.000 10.223
Co B Br
8 4 4
direct
0.167 0.250 0.125 Co
0.250 0.667 0.375 Co
0.250 0.833 0.875 Co
0.333 0.250 0.625 Co
0.667 0.750 0.625 Co
0.750 0.167 0.875 Co
0.750 0.333 0.375 Co
0.833 0.750 0.125 Co
0.000 0.000 0.000 B
0.000 0.500 0.250 B
0.500 0.000 0.750 B
0.500 0.500 0.500 B
0.000 0.000 0.500 Br
0.000 0.500 0.750 Br
0.500 0.000 0.250 Br
........
The lack of big voter-registration efforts nationwide. In some cities, such as Atlanta, voter registration among blacks is going well. In Chicago, it has fallen below initial hopes, while an increase in suburban, white Republican registration has grabbed headlines.
A feeling that Democrats shouldn't take the black vote for granted. ``You have to do more than a single well-received appearance at this stage of the campaign, and grass-roots efforts have just not come alive,'' says Milton Morris, research director at the Joint Center. ``The difficult thing for the Democrats is that the black community doesn't intensely dislike Bush and they don't fear Bush nearly as much as they did Reagan.''
``I'm going to vote for Bush,'' says Ruth Rogers, as she registers in a predominantly black Chicago neighborhood. ``I think he can do the job better than Dukakis.''
On the other hand, not even Republicans say Dukakis has run out of time to turn things around.
Marshall Ingwerson and Pamela Hartman contributed to this report.